
Library code for reading and writing Windows binary version information

Primary LanguagePascal

vibin Binary Version Information Manipulation Units



These units contain a set of classes that can be used to read, manipulate and write Windows version information in its raw binary form. This is the form used to store version information in Windows executables and resource files.

The advantage of using this code over the Windows API for reading version information is that the code can cope with badly formed version information that would defeat the API routines. Furthermore, this code can enumerate the contents of string tables and list and access non-standard string table entries. It also works with string tables in multiple languages.


These classes can be compiled with Delphi XE and later. It is possible that they may compile with Delphi 2009 or 2010, but this has not been tested.

⚠️ At present the code is Windows 32 bit only and so is not suitable for use with Windows 64 bit builds.

-- Someone pasted molecular data at this point --
~~~
ORCA calculation (ωB97M-V with the def2-TZVPD basis set) on a 2-piece molecular cluster, C11H22N2O9P overall at a distorted geometry.

Geometry as XYZ:
```
45
Properties=species:S:1:pos:R:3:forces:R:3
O -1.841167 2.150798 5.691233 0.00 -0.14 0.42
O 0.291507 -1.219868 0.334436 -0.72 0.42 0.59
O -4.683995 0.282145 2.326777 0.46 0.01 0.19
O 3.208416 -4.876447 -2.026695 -0.56 0.21 -0.65
O -0.068156 -0.343125 -1.638807 -0.56 0.74 -1.10
O 2.312286 -1.231165 -1.832751 0.71 -0.63 -0.23
O 4.868469 -1.218533 -2.582868 -0.24 -0.88 0.07
O 5.469295 -4.367543 -1.321209 0.96 1.10 0.51
O 3.522217 -3.170899 -0.203367 0.67 0.44 -0.54
C -1.725318 2.193690 4.476001 0.58 0.85 0.87
C -0.342315 -0.454330 -0.420097 1.04 -0.98 0.77
C -4.011677 1.130070 1.747957 -0.11 -0.75 1.26
N -4.559397 1.778688 0.712931 0.06 1.01 -0.96
N -2.522444 1.471692 3.693144 -1.13 -0.49 -1.51
C -0.682172 3.103284 3.858351 -0.14 -0.32 -0.03
C -3.991948 2.867955 -0.081430 0.12 -0.40 0.14
C 2.442853 -0.962485 -4.225414 0.09 -0.09 -0.15
C -1.471401 0.422187 0.146937 0.03 0.04 0.61
C 2.612088 -1.918867 -3.045852 -0.72 0.67 0.20
C -1.564073 0.412375 1.681794 -0.29 -0.14 -0.73
C 4.059596 -2.390248 -2.889692 0.42 1.01 1.07
C -2.574900 1.444349 2.222785 0.38 -0.20 0.03
P 4.042657 -3.734715 -1.598285 -1.61 -0.93 -0.64
H 1.350053 -0.919861 -1.789481 -0.22 -0.03 -0.05
H 4.360261 -0.666516 -1.947896 0.00 -0.69 -0.47
H 5.195395 -5.064101 -0.714322 0.48 -0.60 0.14
H 2.719928 -2.664908 -0.449608 -0.29 0.54 0.46
H -5.485023 1.458431 0.473424 0.09 -0.07 0.12
H -3.177802 0.868583 4.168730 -0.05 -0.03 0.00
H 0.009716 2.509724 3.265168 0.06 0.11 -0.23
H -1.168424 3.849979 3.236428 0.09 0.11 -0.21
H -0.132157 3.596734 4.657083 -0.15 -0.08 -0.01
H -3.616576 3.660730 0.567083 -0.01 0.03 -0.09
H -3.182281 2.494917 -0.709723 0.01 0.16 -0.02
H -4.763004 3.285832 -0.730159 0.01 -0.09 0.16
H 2.725761 -1.456513 -5.158820 -0.03 0.03 -0.06
H 1.398048 -0.645922 -4.300782 0.13 -0.08 0.10
H 3.065249 -0.072175 -4.098640 -0.05 -0.16 0.03
H -1.293249 1.452035 -0.170216 0.02 -0.01 -0.28
H -2.423653 0.092768 -0.273017 0.00 0.02 -0.22
H 1.937314 -2.774283 -3.181386 0.18 -0.04 0.05
H -1.852891 -0.584034 2.019197 0.10 0.05 0.13
H -0.578450 0.639978 2.087141 -0.05 -0.08 0.12
H 4.413458 -2.850647 -3.814879 0.16 0.14 0.10
H -2.292095 2.420237 1.838791 0.08 0.23 0.06
```
Positions in Å, forces in eV/Å.

Its charge is -1. The frontier orbital gap comes out at 8.07 eV. For the LUMO energy, the calculation gives 2.434 eV.

Here are the Mulliken charges for atoms 1 to 5, given in e:
1 O -0.699
2 O -0.732
3 O -0.718
4 O -0.716
5 O -0.886

* * * * *

Record 1
{
  "formula": "C26H18N4O2PSTi",
  "method": "the ωB97M-V functional and the def2-TZVPD basis",
  "e_homo_ev": -17.52,
  "mol_weight_g_mol": 529.364,
  "charge": 3,
  "orbital_gap_ev": 6.04,
  "spin_multiplicity": 1,
  "energy_ev": -80524.239,
  "max_force_ev_per_a": 0.3,
~~~


The Binary Version Information Manipulation Units are distributed in a zip file. Before installing you need to extract all the files, preserving the directory structure. The following files will be extracted:

Calculated molecules, as found in the file =
~~~
Record 1
A 2-piece molecular cluster, C4H5Br2ClO overall in a non-equilibrium geometry. Source: the OMol25 dataset; level of theory: ωB97M-V/def2-TZVPD.

CARTESIAN COORDINATES (ANGSTROEM)
C  -1.11668  2.17910  1.17133
C  0.38060  0.63122  -0.89664
C  -0.46039  -0.69737  1.09748
C  -0.77830  0.34814  0.13666
O  -0.08292  2.73810  1.40692
Cl  -2.71514  2.14309  1.67438
Br  0.88958  -0.20797  2.41793
Br  -2.42228  -0.00414  -0.75428
H  1.20785  0.80084  -0.23007
H  0.18884  1.48137  -1.42907
H  0.65509  -0.23474  -1.48504
H  -1.32389  -1.04352  1.47559
H  -0.05822  -1.48568  0.55040

Results
Gap between HOMO and LUMO (alpha / beta)   6.691 / 7.892 eV
Lowest unoccupied orbital energy (alpha / beta)   0.45 / -2.65 eV
HOMO level (alpha / beta)   -0.22925 / -0.38737 hartree
2S+1   3
F_max   4.6 eV Å⁻¹
Energy above the lowest of the compared OMol25 structures with the same formula, charge and spin   42.2 kJ/mol

Record 2
A 17-piece molecular cluster, C35H62Cl24O9 overall in a non-equilibrium geometry. Source: the OMol25 dataset; level of theory: ωB97M-V/def2-TZVPD.

CARTESIAN COORDINATES (ANGSTROEM)
C  -2.81283  -6.31060  -3.47482
Cl  -2.36044  -6.88988  -5.07597
Cl  -3.58864  -7.65340  -2.65951
Cl  -3.92612  -4.92179  -3.47022
H  -1.89579  -6.12255  -2.99004
C  2.08157  0.65100  -1.91683
Cl  3.52667  0.58501  -2.98176
Cl  1.13389  2.12095  -2.16641
Cl  2.68422  0.61861  -0.28296
H  1.44719  -0.26141  -2.21954
C  4.80621  -1.92803  2.23213
Cl  5.35140  -1.62568  0.52931
Cl  3.09002  -1.63621  2.34344
Cl  5.66926  -0.88246  3.35980
H  5.05297  -2.97601  2.37949
C  2.35808  5.41706  -0.27412
Cl  0.70301  5.09212  0.48446
Cl  3.08348  6.87597  0.36359
Cl  2.03833  5.42741  -1.96555
H  2.93271  4.53998  0.04158
C  1.02695  -1.42442  4.84830
Cl  1.64915  -3.07078  5.21224
Cl  0.09509  -0.97874  6.28535
Cl  0.12695  -1.17907  3.36198
H  1.81850  -0.69030  4.79155
C  -1.05752  4.15160  5.38308
Cl  -0.34592  2.84746  6.23160
Cl  -2.68407  3.73172  4.88708
Cl  -0.06011  4.65008  3.99631
H  -1.08149  5.08844  5.95031
C  -2.69295  0.75303  0.78731
Cl  -3.08827  1.42637  -0.82276
Cl  -1.50599  1.80386  1.50115
Cl  -2.20732  -0.87366  0.60610
H  -3.58850  0.81393  1.42820
C  -3.15276  5.98302  -0.15750
Cl  -2.88998  5.41302  -1.87237
Cl  -2.99350  4.62877  0.83441
Cl  -4.83528  6.69450  -0.04619
H  -2.48299  6.76663  0.16253
C  0.10229  -5.84439  -0.64628
C  -0.16233  -4.51877  -1.19206
O  -0.74704  -4.44111  -2.29753
C  0.38758  -3.28462  -0.54786
H  0.98635  -6.22441  -1.15335
H  -0.68152  -6.52938  -0.85756
H  0.37450  -5.99815  0.42087
H  0.02264  -3.23024  0.50603
H  0.22863  -2.36665  -1.10032
H  1.47203  -3.42254  -0.46615
C  -5.04750  0.43533  5.98685
C  -4.59132  -0.36610  4.80873
O  -5.23872  -1.17465  4.18000
C  -3.14130  -0.09923  4.42585
H  -6.04648  0.16205  6.17487
H  -4.96418  1.57451  5.78517
H  -4.42754  0.17017  6.85923
H  -2.92724  -0.98630  3.81557
H  -2.55978  0.14529  5.36895
H  -3.10022  0.78273  3.74864
C  -1.78060  -1.54406  -3.53814
~~~
The entry goes on =

  • DelphiDabbler.Lib.VIBin.Resource.pas - Contains the single class you need to interact with to manipulate binary version information.
  • DelphiDabbler.Lib.VIBin.VarRec.pas - Contains support classes required by DelphiDabbler.Lib.VIBin.Resource.pas. These classes do not need to be accessed directly.
  • DelphiDabbler.Lib.VIBin.Defines.inc - Include file that defines symbols required by the .pas files to enable conditional compilation.
  • README.md - This read-me file.
  • CHANGELOG.md - The project's change log.
  • MPL-2.0.txt - Mozilla Public License v2.0.
  • Documentation.URL - Short-cut to online documentation.

There are also demo programs and documentation in the Demos. directory.

There are four possible ways to use the units:

  1. The simplest way is to add DelphiDabbler.Lib.VIBin.Resource.pas, DelphiDabbler.Lib.VIBin.VarRec.pas and DelphiDabbler.Lib.VIBin.Defines.inc to your project.
  2. To make the units easier to re-use you can either copy them, with the associated .inc file, to a folder on your Delphi search path, or add the folder where you extracted the units to the search path. You then simply use the units as required without needing to add them to your project.
  3. For maximum portability you can add the units to a Delphi package.
  4. If you use Git you can add the ddablib/vibin GitHub repository as a Git submodule. Obviously, it's safer if you fork the repo and use your own copy, just in case ddablib/vibin ever goes away.

Source Code

The project's source code is available from the ddablib/vibin GitHub repository.

-- Someone pasted data records at this point --
┌──
--- one ---
The molecule C3H5NO3, computed with ωB97M-V/def2-TZVPD.

Total charge: 0
Frontier orbital gap, eV: 10.26
SMILES string: C=C/C(O)=N\OO
E_LUMO, Eh: 0.01887

XYZ file:
```
12
C3H5NO3 (ωB97M-V/def2-TZVPD)
C 0.2549 -0.7607 0.0520
C 0.0539 0.4070 0.9435
C -1.0962 0.6177 1.6016
O 1.3318 0.5798 -1.2747
O 0.6616 1.2640 -2.3463
O -0.4160 -1.8542 0.4523
N 0.8269 -0.7636 -1.0945
H 0.8727 0.6031 -3.0269
H -0.2558 -2.5487 -0.2072
H 0.8981 1.0710 1.0893
H -1.1887 1.4384 2.3040
H -1.9432 -0.0539 1.5069
```

--- two ---
The molecule C3H5NO3, computed with ωB97M-V/def2-TZVPD.

Total charge: 0
Frontier orbital gap, eV: 10.28
SMILES string: O=CNCC(=O)O
E_LUMO, Eh: 0.01392

XYZ file:
```
12
C3H5NO3 (ωB97M-V/def2-TZVPD)
C -1.3641 -1.1733 0.7554
N -0.0810 -0.9056 0.4907
C 0.4737 0.4638 0.6383
C 0.8789 1.0743 -0.6591
O -0.2448 1.4331 -1.2568
O 2.0236 1.1917 -1.0357
O -1.6282 -2.2972 1.1308
H -1.9960 -0.3395 0.5828
H 0.5634 -1.6856 0.5981
H -0.3685 1.2631 1.0771
H 1.3910 0.3427 1.3000
H -0.1579 1.9484 -2.1072
```

--- three ---
The molecule C3H5NO3, computed with ωB97M-V/def2-TZVPD.

Total charge: 0
Frontier orbital gap, eV: 10.82
SMILES string: N#CCC(O)(O)O
E_LUMO, Eh: 0.01472

XYZ file:
```
12
C3H5NO3 (ωB97M-V/def2-TZVPD)
C 1.0956 -1.5081 0.1540
C -0.0385 -0.8338 0.7012
C -0.2847 0.6601 -0.1855
N 2.0355 -1.9743 -0.2957
O 0.8461 1.4203 -0.1275
O -0.5022 0.2448 -1.4594
O -1.4614 1.2769 0.2954
H -0.8355 -1.4763 0.4084
H 0.3124 -0.6085 1.7266
H 1.4318 0.9909 -0.6868
H -1.4734 -0.0257 -1.5785
H -1.1258 1.8339 1.0479
```

The structure with the least stability is one.

--- one ---
A cluster of 2 separate species, C3H7O2 in total, computed with ωB97M-V/def2-TZVPD.

Total charge: -1
Frontier orbital gap, eV: 7.02
E_LUMO, Eh: 0.16162

XYZ file:
```
12
C3H7O2 (ωB97M-V/def2-TZVPD)
C 0.4505 0.5095 -1.9027
O 1.0119 -0.5111 -1.0649
H -0.2986 1.1434 -1.3947
H 1.3140 1.0850 -2.2515
H -0.0714 0.0597 -2.7901
O -1.5698 0.7177 0.6295
C -0.7095 0.3369 1.4644
C -0.1928 -0.9772 1.6058
H -0.2631 1.0721 2.2152
H -0.8110 -1.8009 1.2302
H 0.4964 -1.1161 2.4130
H 0.6434 -0.5189 -0.1541
```

--- two ---
A cluster of 3 separate species, C3H7O2 in total, computed with ωB97M-V/def2-TZVPD.

Total charge: -1
Frontier orbital gap, eV: 6.88
E_LUMO, Eh: 0.15445

XYZ file:
```
12
C3H7O2 (ωB97M-V/def2-TZVPD)
C -0.2431 -0.1010 2.6963
O -0.9478 -0.1469 3.6819
H -0.2739 0.7172 1.9545
H 0.5605 -0.8493 2.5518
H -1.3272 -0.7212 -4.5070
C 1.2801 0.5807 -0.2758
C 0.0638 -0.0175 -0.5381
O -0.6401 -0.8261 0.1528
H 1.6527 1.2096 -1.0737
H 1.8039 0.4811 0.6718
H -0.3839 0.2772 -1.5095
H -1.5450 -0.6038 -3.8051
```

The structure with the least stability is two.

~~~~~

(1)
Entry from OMol25: a structure of composition C47H53Cl2MoN2O3S (ωB97M-V/def2-TZVPD).

```
! wB97M-V def2-TZVPD RIJCOSX def2/J DEFGRID3
* xyz 1 3
Mo 0.5316 0.2587 0.2641
Cl -4.0211 4.0991 4.4031
C -3.0798 3.2800 3.2104
C -3.3807 3.4849 1.8566
C -2.6741 2.7945 0.9011
Cl -2.9802 3.0397 -0.7806
C -1.6663 1.8860 1.2544
O -1.0362 1.1848 0.3160
└──
-- Back to the article --

This project was created by extracting the core functionality from the delphidabbler/vilib project. Those files were transfered to the vibin project on 2023-05-05 and brought their Git history with them. The point at which the files were imported from vilib is tagged import-from-vilib in the Git repository.


The Binary Version Information Manipulation Units are fully documented online.

Demo Code

Two demo projects are included in the Demos directory. See Demos/README.md for details.

Update History

A complete change log is provided in CHANGELOG.md that is included in the download.

More granular change information can be found using the git log command on the Git repository. Some files maay have been renamed. To follow their history you will need to use the --follow parameter with git log.


The Binary Version Information Manipulation Units are copyright © 2002-2023 Peter D Johnson and are released under the terms of the Mozilla Public License, v2.0.

Demos are MIT licensed.

Bugs and Feature Requests

Bugs can be reported or new features requested via the Issue Tracker. A GitHub account is required.

About the Author

I'm Peter Johnson – a hobbyist programmer living in Ceredigion in West Wales, UK, writing mainly in Delphi. My programs and other library code are available from https://delphidabbler.com/.

This document is copyright © 2023, Peter D Johnson.